Inside your inner ear, deep in your skull, are the remnants of seashells, filled with liquid and small, hairlike cilia. This beautiful construction is called the vestibular system. Your vestibular system allows you to know when you are upright or when your head is tilted to one side. The vestibular system is so sensitive to the movement of its own fluids that the slightest change is detectable and requires a reaction. For example, if you turn your head from side to side rapidly, or spin like many children enjoy doing until they get dizzy and fall over, you’re stimulating your vestibular system.
As we get older we move more slowly and with fewer radical changes of position, so our vestibular system is less stimulated. This is a visible sign of aging.
The best way to get your eyes, inner ear, muscles, and brain working and sensing together is to move in a style similar to the way you moved as an infant and young child. These developmental movements encourage your head to be in many different positions as you roll it to scan with your ears and eyes while you move from lying on your stomach, lying on your back, and side-lying, to kneeling, crouching, and standing up and balancing. These movements provide a slow, steady, consistent return of what’s often lost in our vestibular system as we age.
Here are a couple Change Your Age tips on how to transform your balance habits and a sample lesson from the book Change Your Age.
How to Transform Your Habits
TIP #1: Stand with your right foot crossed over your left foot. Look up as if reaching for something. Reach with one arm and then the other. Let your pelvis move in the opposite direction that you reach. Repeat this movement with your left foot on the outside of your right foot. Reach all around yourself, in every possible direction, and feel how your pelvis and feet support you. Remember to breathe and feel your breathing while you’re doing this. Smile!
TIP #2: Practice walking forward and backward slowly (about ten seconds for a step). Do this next to a wall for support if you are feeling unsure of yourself. As you become more comfortable and sure-footed, you will be able to walk backward faster with ease and your balance will improve walking forward.
Balance Habits- Sample Lesson
This lesson asks you to be intuitive and instinctual and to trust yourself. Unlike other fitness books, you won’t find strict rules on repetitions or time limits here; I’ll suggest parameters, but the Change Your Age program is about being in touch with your body and brain—and your sense of movement.
Before you start this lesson, read through it and look to the photos for guidance. This mental rehearsal will help you unleash your physical imagination.
- GO SLOWLY—Take your time, you’ll learn more!
- INSIST ON COMFORT—If it hurts, it’s not helping you. Never try to override pain if you feel it.
- USE YOUR IMAGINATION—Allow the movement to become very clear and lucid in your mind, like a scene from a movie.
- REST FREQUENTLY—These movements, while gentle and pleasurable, may cause slight strain because you are using parts of muscles you may not have used in a long time, or you may be using them in ways that are not familiar.
Inserted here: quantum chemistry results =
'''
Molecular formula: C42H56N12O8S
Method: DFT, ωB97M-V/def2-TZVPD

```
119
Properties=species:S:1:pos:R:3:lowdin_charge:R:1
S 0.096 -0.082 -0.029 0.414
O 1.528 0.240 -0.133 -0.390
O -0.456 -0.206 -1.354 -0.324
O -0.050 -1.371 0.657 -0.320
O -0.474 1.009 0.806 -0.338
N 0.759 -2.580 2.754 -0.049
C -0.096 -3.221 3.596 -0.078
C 0.863 -4.150 4.375 -0.064
C 2.265 -3.865 4.025 -0.032
C 2.087 -2.724 3.024 -0.094
H 0.371 -2.011 1.933 0.065
H -1.136 -3.194 3.427 0.059
H 0.805 -4.863 5.040 -0.007
H 3.031 -4.399 4.363 0.011
H 2.682 -2.078 2.447 0.058
N -0.842 1.336 3.514 -0.063
C -2.062 2.005 3.960 -0.087
C -2.085 1.638 5.464 -0.116
C -0.932 0.709 5.717 -0.073
C -0.182 0.532 4.318 -0.099
H -0.495 1.374 2.450 0.127
H -2.565 2.836 3.379 0.076
H -2.706 2.283 6.169 0.075
H -0.557 0.167 6.663 0.074
H 0.544 0.003 3.939 0.029
N 0.326 -0.874 -3.837 -0.046
C -0.036 -0.666 -5.155 -0.080
C 1.232 -1.303 -6.001 -0.098
C 2.208 -1.798 -5.099 -0.098
C 1.600 -1.498 -3.733 -0.115
H -0.426 -0.484 -3.033 0.162
H -0.886 -0.161 -5.538 0.054
H 1.458 -1.059 -7.069 0.062
H 3.064 -2.256 -5.360 0.028
H 2.046 -1.650 -2.693 0.085
N 2.915 2.021 -1.463 -0.023
C 3.815 2.932 -0.841 -0.107
C 4.256 3.925 -1.859 -0.060
C 3.652 3.394 -3.124 -0.093
C 2.858 2.214 -2.831 -0.147
H 2.490 1.368 -0.757 0.066
H 3.785 2.955 0.260 0.084
H 5.036 4.693 -1.783 0.064
H 3.803 3.728 -4.083 0.038
H 2.145 1.660 -3.448 0.089
N -0.603 3.500 0.749 -0.064
C 0.618 4.075 0.610 -0.157
C 0.462 5.570 0.659 -0.067
C -0.979 5.879 1.179 -0.021
C -1.588 4.410 1.195 -0.100
H -0.663 2.351 0.855 0.059
H 1.455 3.333 0.411 0.089
H 1.025 6.434 0.585 0.018
H -1.433 6.704 1.496 -0.015
H -2.541 3.892 1.408 0.059
N -2.751 -1.054 -2.073 -0.076
C -3.536 -0.587 -3.054 -0.157
C -4.774 -1.514 -3.120 -0.056
C -4.574 -2.618 -2.128 -0.025
C -3.272 -2.236 -1.396 -0.049
H -1.687 -0.621 -1.797 0.086
H -3.262 0.238 -3.733 0.114
H -5.427 -1.182 -3.708 -0.024
H -5.165 -3.503 -2.091 0.053
H -2.777 -2.631 -0.545 0.051
N -4.898 0.604 -0.837 -0.060
C -6.287 0.566 -0.408 -0.096
C -6.620 1.890 0.188 -0.074
C -5.288 2.629 0.184 -0.113
C -4.264 1.812 -0.504 -0.146
H -4.168 -0.236 -1.261 0.132
H -6.803 -0.383 -0.433 0.072
H -7.417 2.308 0.691 0.025
H -4.954 3.573 0.485 0.025
H -3.068 1.643 -0.476 0.137
N 3.192 0.883 2.000 -0.008
C 3.019 1.984 2.767 -0.130
C 4.346 2.279 3.517 -0.054
C 5.357 1.357 2.867 -0.050
C 4.504 0.487 1.991 -0.120
H 2.614 0.631 1.199 0.078
H 2.093 2.625 2.837 0.107
H 4.371 3.150 4.069 0.021
H 6.398 1.433 3.094 0.048
H 4.846 -0.260 1.386 0.046
N -0.800 -3.897 -0.037 -0.053
C -0.251 -4.162 -1.238 -0.085
C -0.749 -5.541 -1.623 0.015
C -1.552 -5.909 -0.313 -0.044
C -1.426 -4.835 0.685 -0.092
H -0.575 -3.038 0.180 0.000
H 0.305 -3.519 -1.994 0.121
H -0.566 -5.844 -2.505 -0.030
H -1.782 -6.797 0.068 -0.003
H -1.982 -4.757 1.590 0.085
N 3.510 -1.272 -0.873 -0.087
C 3.540 -2.626 -0.455 -0.065
C 5.058 -3.088 -0.619 -0.080
C 5.703 -2.017 -1.317 -0.130
C 4.748 -0.831 -1.375 -0.135
H 2.757 -0.506 -0.587 0.079
H 2.622 -2.869 0.055 0.067
'''
- CHOOSE A COMFORTABLE SPACE—Make sure that you have space around you to move and that your clothes are loose enough to not restrain your movement.
Lesson 28: Standing on the Highest Point of the Hip
Intention: To find the highest point of your hip joint so that you can include a feeling for this point in your way of standing and walking. Everyone who has any concern about their hip joint as they age should do this lesson.

Many arthritic and osteoporotic conditions are aggravated and accelerated when weight from the pelvis to the head of the femur (or thigh bone) does not go in the direction best aligned to maintain the strength of the bones and the joint. In the ball-and-socket joint of your hip, where you bear weight determines how the internal structure of the femur grows and changes over time.
The best place to bear weight is at the highest point of the hip joint, but many people have the habit of sinking in their hips or standing so that the weight of the pelvis is lower on the ball-and-socket joint of the hip.
Starting Position: Stand with your feet as wide as your hips. You might feel comfortable doing this near a piece of furniture or a wall to help give you balance and support if you need it. Imagine that half of your body is one piece, one unit, from your left leg and your left foot all the way through your spine and torso to the top of your head; think of those parts of your body as containing an unbendable stick. You can only move at your right hip joint.
1. Bear more weight on your right leg so that you can lift your left foot and leg out to the left side of your body and then return to standing on both feet. Your head will have to move exactly the same amount to the right. Let your arms hang freely and do the movement slowly several times.
Change Your Age Tip: Be very careful not to tilt your neck to the right, or your chest or any part of your spine; be sure to stay on top of your right hip joint. You will be moving your pelvis on top of your hip joint. There is no need to lift your left leg very far.
2. Stop and go for a walk. Do you feel the difference in your hips and legs? How do they support you differently?
3. Imagine the same movement on your right side: Your body doesn’t bend except at your left hip as your right foot and leg lift off the floor to the right side and your head moves equally to the left. Now you will be balancing on top of your left hip joint. Don’t try to go too far. Go as slowly as you can. Feel that your right foot and head move the exactly the same distance to the right that your head moves to the left. Make sure your trunk is truly unbendable.
You may want to go back and practice again on the other side. Observe which side is easier.
4. Stop and go for a walk. Feel how your pelvis sits high on your hip joints.
If you feel fatigued in the muscles around your hip joints, lie down and rest for a moment before continuing.
Change Your Age Tip: As you do these movements, all of the stabilizing muscles of your hip joints awaken and, for some people, become fully activated for the first time. The secret is in going slowly and carefully to keep everything immobile except the movement over the hip joint.
5. Return to standing. Now imagine again that the right side of your body is an unbendable unit. As you bring your right foot forward, your head will go back exactly the same distance. Take your foot and leg backward and let your head go forward the exact same distance. Do this several times. Be sure you are not arching your back and that all movement is directly over the right hip joint.
Rest. Go for a walk. Observe any changes you feel in your head and hips and how your pelvis sits above your legs.
6. Repeat the same movement on the other side. As you go back and forth over your right hip joint, relax your shoulders and let your arms hang freely in front or in back of yourself, wherever they want to go.
Pause. Observe how you are standing. Feel whether you are higher above your legs. Go for a walk and observe what’s new compared to your usual way of walking. Can you sense your hip joints and the muscles around them in a new way? Practicing this lesson everyday will assure better balance and stronger, more stable hips.
Unrelated to this entry: molecular data:
********
Molecular formula: C3H5N3
Method: DFT, wB97M-V/def2-TZVPD

Computed properties:
HOMO (spin up / spin down) ... -0.8319 / -0.7700 Eh
HOMO-LUMO gap (spin up / spin down) ... 10.87 / 5.74 eV
Total charge ... +2
Molecular weight ... 83.1 g mol⁻¹

Bonds (Å) are listed after each position.
Cartesian coordinates (Å):
1 C -0.494 0.639 1.115  N4 1.276, N6 1.339, H7 1.129
2 C -0.119 0.366 -1.028  N5 1.279, N6 1.304, H8 1.130
3 C 1.273 -1.918 0.414  H9 1.144, H10 1.056
4 N -1.056 1.580 0.461  C1 1.276, N5 1.370
5 N -0.769 1.457 -0.873  C2 1.279, N4 1.370, H11 1.034
6 N 0.124 -0.084 0.172  C1 1.339, C2 1.304
7 H -0.578 0.566 2.238  C1 1.129
8 H 0.272 -0.015 -2.016  C2 1.130
9 H 1.870 -2.095 1.374  C3 1.144
10 H 0.685 -2.512 -0.232  C3 1.056
11 H -1.208 2.017 -1.623  N5 1.034
********
For more movement lessons, tips and helpful routines, buy the Change Your Age book and the Change Your Age video program.